Wanted:
Now write out all of the listing further below word for word.

Source:
+++
1.
LiB8C8: simulated powder diffraction line list (Cu Ka), based on a structure optimized by DFT (PBE).
No peak broadening, texture or thermal motion is included.

Structure:
Cell: 17.307 2.665 9.373 Å, 90.00 105.94 90.00°
Space group C2/m (No. 12)
One atom of each set of equivalent atoms:
Li (0.000, 0.000, 0.000) [2 per cell]
B (0.111, 0.000, 0.224) [4 per cell]
B (0.114, 0.500, 0.975) [4 per cell]
B (0.129, 0.500, 0.483) [4 per cell]
B (0.130, 0.000, 0.734) [4 per cell]
C (0.106, 0.500, 0.135) [4 per cell]
C (0.118, 0.000, 0.892) [4 per cell]
C (0.124, 0.000, 0.395) [4 per cell]
C (0.133, 0.500, 0.650) [4 per cell]

Main lines, low angle first (10° ≤ 2θ ≤ 90°):
10.6°, rel. 5, (2 0 0)
12.3°, rel. 3, (2 0 -1)
16.4°, rel. 3, (2 0 1)
21.4°, rel. 100, (4 0 0)
38.4°, rel. 3, (2 0 -4)
38.9°, rel. 7, (1 1 -2)
43.5°, rel. 8, (8 0 0)
44.3°, rel. 2, (6 0 -4)
44.8°, rel. 10, (3 1 2)
69.8°, rel. 4, (3 1 -6)

2.
Rb5Pb2Se6: simulated powder diffraction line list (Cu Ka), based on a structure optimized by DFT (PBE).
No peak broadening, texture or thermal motion is included.

Structure:
Cell: 13.363 15.222 4.931 Å, 90.00 90.00 90.00°
Space group Pbam (No. 55)
One atom of each set of equivalent atoms:
Rb (0.000, 0.000, 0.000) [2 per cell]
Rb (0.081, 0.256, 0.000) [4 per cell]
Rb (0.183, 0.504, 0.000) [4 per cell]
Pb (0.169, 0.711, 0.500) [4 per cell]
Se (0.004, 0.582, 0.500) [4 per cell]
Se (0.163, 0.111, 0.500) [4 per cell]
Se (0.169, 0.810, 0.000) [4 per cell]

Main lines, low angle first (10° ≤ 2θ ≤ 90°):
11.6°, rel. 48, (0 2 0)
22.5°, rel. 100, (1 2 1)
27.3°, rel. 56, (4 1 0)
27.6°, rel. 47, (3 1 1)
28.6°, rel. 73, (2 3 1)
30.4°, rel. 47, (1 4 1)
32.1°, rel. 45, (4 3 0)
32.3°, rel. 86, (3 3 1)
35.7°, rel. 56, (3 5 0)
36.4°, rel. 76, (0 0 2)

3.
Tb2Ho5Er4: simulated powder diffraction line list (Cu Ka), based on a structure optimized by DFT (PBE).
No peak broadening, texture or thermal motion is included.

Structure:
Cell: 3.511 8.614 11.662 Å, 75.88 81.39 89.97°
Space group P-1 (No. 2)
One atom of each set of equivalent atoms:
Tb (0.091, 0.227, 0.318) [2 per cell]
Ho (0.000, 0.500, 0.500) [1 per cell]
Ho (0.273, 0.682, 0.955) [2 per cell]
Ho (0.364, 0.408, 0.773) [2 per cell]
Er (0.182, 0.955, 0.136) [2 per cell]
Er (0.454, 0.136, 0.592) [2 per cell]

Main lines, low angle first (10° ≤ 2θ ≤ 90°):
31.2°, rel. 100, (0 3 1)
36.1°, rel. 17, (0 2 -3)
36.2°, rel. 34, (1 2 3)
52.0°, rel. 12, (1 4 0)
52.1°, rel. 24, (2 0 1)
61.8°, rel. 14, (1 3 -4)
61.9°, rel. 28, (2 3 2)
65.0°, rel. 12, (0 6 2)
85.0°, rel. 10, (1 7 1)
87.9°, rel. 8, (2 6 3)

4.
Ti3SnS: simulated powder diffraction line list (Cu Ka), based on a structure optimized by DFT (PBE).
No peak broadening, texture or thermal motion is included.

Structure:
Cell: 6.002 13.805 4.441 Å, 90.00 90.00 90.00°
Space group Cmmm (No. 65)
One atom of each set of equivalent atoms:
Ti (0.000, 0.168, 0.000) [4 per cell]
Ti (0.218, 0.500, 0.500) [4 per cell]
Ti (0.250, 0.250, 0.500) [4 per cell]
Sn (0.000, 0.376, 0.000) [4 per cell]
S (0.000, 0.116, 0.500) [4 per cell]

Main lines, low angle first (10° ≤ 2θ ≤ 90°):
16.1°, rel. 25, (1 1 0)
25.8°, rel. 68, (0 4 0)
31.7°, rel. 22, (1 3 1)
32.9°, rel. 100, (0 4 1)
36.1°, rel. 94, (2 0 1)
39.8°, rel. 98, (2 4 0)
40.6°, rel. 57, (0 0 2)
41.3°, rel. 58, (1 5 1)
53.1°, rel. 19, (0 8 0)
58.2°, rel. 61, (2 4 2)

~~~~~

Diffraction record for BaIn. The powder diffractogram is theoretical, not measured: it uses DFT lattice parameters and positions (PBE) and λ = 1.5418 Å (Cu Kα).
+++

Outcome:
1.
LiB8C8: simulated powder diffraction line list (Cu Ka), based on a structure optimized by DFT (PBE).
No peak broadening, texture or thermal motion is included.

Structure:
Cell: 17.307 2.665 9.373 Å, 90.00 105.94 90.00°
Space group C2/m (No. 12)
One atom of each set of equivalent atoms:
Li (0.000, 0.000, 0.000) [2 per cell]
B (0.111, 0.000, 0.224) [4 per cell]
B (0.114, 0.500, 0.975) [4 per cell]
B (0.129, 0.500, 0.483) [4 per cell]
B (0.130, 0.000, 0.734) [4 per cell]
C (0.106, 0.500, 0.135) [4 per cell]
C (0.118, 0.000, 0.892) [4 per cell]
C (0.124, 0.000, 0.395) [4 per cell]
C (0.133, 0.500, 0.650) [4 per cell]

Main lines, low angle first (10° ≤ 2θ ≤ 90°):
10.6°, rel. 5, (2 0 0)
12.3°, rel. 3, (2 0 -1)
16.4°, rel. 3, (2 0 1)
21.4°, rel. 100, (4 0 0)
38.4°, rel. 3, (2 0 -4)
38.9°, rel. 7, (1 1 -2)
43.5°, rel. 8, (8 0 0)
44.3°, rel. 2, (6 0 -4)
44.8°, rel. 10, (3 1 2)
69.8°, rel. 4, (3 1 -6)

2.
Rb5Pb2Se6: simulated powder diffraction line list (Cu Ka), based on a structure optimized by DFT (PBE).
No peak broadening, texture or thermal motion is included.

Structure:
Cell: 13.363 15.222 4.931 Å, 90.00 90.00 90.00°
Space group Pbam (No. 55)
One atom of each set of equivalent atoms:
Rb (0.000, 0.000, 0.000) [2 per cell]
Rb (0.081, 0.256, 0.000) [4 per cell]
Rb (0.183, 0.504, 0.000) [4 per cell]
Pb (0.169, 0.711, 0.500) [4 per cell]
Se (0.004, 0.582, 0.500) [4 per cell]
Se (0.163, 0.111, 0.500) [4 per cell]
Se (0.169, 0.810, 0.000) [4 per cell]

Main lines, low angle first (10° ≤ 2θ ≤ 90°):
11.6°, rel. 48, (0 2 0)
22.5°, rel. 100, (1 2 1)
27.3°, rel. 56, (4 1 0)
27.6°, rel. 47, (3 1 1)
28.6°, rel. 73, (2 3 1)
30.4°, rel. 47, (1 4 1)
32.1°, rel. 45, (4 3 0)
32.3°, rel. 86, (3 3 1)
35.7°, rel. 56, (3 5 0)
36.4°, rel. 76, (0 0 2)

3.
Tb2Ho5Er4: simulated powder diffraction line list (Cu Ka), based on a structure optimized by DFT (PBE).
No peak broadening, texture or thermal motion is included.

Structure:
Cell: 3.511 8.614 11.662 Å, 75.88 81.39 89.97°
Space group P-1 (No. 2)
One atom of each set of equivalent atoms:
Tb (0.091, 0.227, 0.318) [2 per cell]
Ho (0.000, 0.500, 0.500) [1 per cell]
Ho (0.273, 0.682, 0.955) [2 per cell]
Ho (0.364, 0.408, 0.773) [2 per cell]
Er (0.182, 0.955, 0.136) [2 per cell]
Er (0.454, 0.136, 0.592) [2 per cell]

Main lines, low angle first (10° ≤ 2θ ≤ 90°):
31.2°, rel. 100, (0 3 1)
36.1°, rel. 17, (0 2 -3)
36.2°, rel. 34, (1 2 3)
52.0°, rel. 12, (1 4 0)
52.1°, rel. 24, (2 0 1)
61.8°, rel. 14, (1 3 -4)
61.9°, rel. 28, (2 3 2)
65.0°, rel. 12, (0 6 2)
85.0°, rel. 10, (1 7 1)
87.9°, rel. 8, (2 6 3)

4.
Ti3SnS: simulated powder diffraction line list (Cu Ka), based on a structure optimized by DFT (PBE).
No peak broadening, texture or thermal motion is included.

Structure:
Cell: 6.002 13.805 4.441 Å, 90.00 90.00 90.00°
Space group Cmmm (No. 65)
One atom of each set of equivalent atoms:
Ti (0.000, 0.168, 0.000) [4 per cell]
Ti (0.218, 0.500, 0.500) [4 per cell]
Ti (0.250, 0.250, 0.500) [4 per cell]
Sn (0.000, 0.376, 0.000) [4 per cell]
S (0.000, 0.116, 0.500) [4 per cell]

Main lines, low angle first (10° ≤ 2θ ≤ 90°):
16.1°, rel. 25, (1 1 0)
25.8°, rel. 68, (0 4 0)
31.7°, rel. 22, (1 3 1)
32.9°, rel. 100, (0 4 1)
36.1°, rel. 94, (2 0 1)
39.8°, rel. 98, (2 4 0)
40.6°, rel. 57, (0 0 2)
41.3°, rel. 58, (1 5 1)
53.1°, rel. 19, (0 8 0)
58.2°, rel. 61, (2 4 2)

~~~~~

Diffraction record for BaIn. The powder diffractogram is theoretical, not measured: it uses DFT lattice parameters and positions (PBE) and λ = 1.5418 Å (Cu Kα).